contemporary poetry


POSTED IN contemporary poetry January 17, 2021












I’ll bake tonight a rounded cake
to celebrate the wish I make
I’ll lit my candles with the Moon
and let them glow in nightly gloom.

I wish myself a better year,
to feel and see what I can’t hear,
and as a snake sheds its own skin
I’d like to shed my old chagrin.

In darkened room a mirror stays,
in candlelight I catch a gaze
from mirror staring straight at me.
One moment thought: who could that be?

The candles shiver as I do,
She looks at me as if she knew
something I did not. Who is she?
From mirror comes another me.

A girl with dark wide opened eyes,
she’s silent without any smiles.
She’s watching from another time,
she hears and sees a silenced chime.

I look into the mirror’s will
another me its waves reveal.
All other me that through time strives
to help me learn my other lives.

I make a wish and write it on
a piece of paper which anon
I fold in half and light in fire,
and let it burn my heart’s desire.

Candles like not to be blown out.
Wet fingertips or with my clout
I kill their flame. I’m born again.
With all my stars I drink champagne.

Maria Magdalena Biela

Let’s have a HAPPY NEW YEAR!

POSTED IN contemporary poetry December 31, 2020










Let’s have a HAPPY NEW YEAR!


Preparing a real feast at home ‼️No need for fancy restaurants, nor spending money , everything we need to welcome the most waited New Year is here, under my nose‼️ Improvising – le mot du jour ‼️ Lights, please! Glasses, ready? Food – everything under 1000 kcal ‼️ Aaand, let’s be in a silly childishly good mood ‼️ COVID is the guest of honour: to be shot at midnight!
HAPPY  HEALTHY NEW YEAR ❤️‼️ All friends invited! Required ugly smiles, bad jokes, total amnesia, jeans and t.shirts with dirty logos aaaaand if your glass seems to be half full or empty, ADD TEQUILA ❣️‼️

Maria Magdalena Biela

La fereastra Ajunului / At the Christams Eve’s window

POSTED IN contemporary poetry December 25, 2020












La fereastra Ajunului / At the Christams Eve’s window

I-am colindat prin telefon pe mama și tata in seara asta sfântă, așa cum fac in fiece an, de când am plecat. Anul trecut am întrebat cu zâmbete:
– Primiți cu colindul?
Și ei, fericiți, mulțumiți, au acceptat râzând. Acum însă…
Pentru câteva minute a răsunat doar glasul meu și, in adâncul nopții, plânsul lor tăcut, sfâșietor de trist și neajutorat… Apoi plânsul nostru… fără cuvinte.
Știam vorbele ce urmau să fie spuse, și eu, și ei. Neputința este mai dureroasă decât moartea.
– Sărut mâna, mamă… Sărut mâna, tată… Crăciun luminat și binecuvântat!
– Sa trăiești, draga mamei!..
O voce înecată în lacrimi, vocea dragă a tatei, nu a reușit să ducă pân’ la capăt gândul…
Undeva in cerul întunecat, plânsul amar al părinților mei s.a pierdut printre stelele mute.
Mama și tata… acești oameni buni care au trudit spre a trai, spre a mă ajuta sa trăiesc, se topesc fara mărturie, in pulberea drumului vieții. șters cu sufletul unul altuia lacrimile.
Hai, dragii mei, încă un an, va rog frumos 🌟.

At the Christams Eve’s window

I caroled my Mom and Dad by  phone this holy night, as I do every year since I left. Last year I asked them with a smile:
– Do you accept carolers?
And they, happy, content, accepted laughing. But now …
For a few minutes only my voice sounded and, in the depths of the night, their silent, heartbreaking sad and helpless cry … Then our cry … without words.
We knew the words that were to be said, both me and them. Helplessness is more painful than death.
– Kiss your hand, Mom … Kiss your hand, Dad … Happy and blessed Christmas!
– Be well, darling girl!
A voice drowned in tears, my father’s dear voice, failed to complete the thought .
Somewhere in the dark sky, my parents’ bitter cry was lost among the voiceless stars.
Mom and Dad … these good people who worked hard for life, who helped me live, they dissolve slowly without witness, in the dust of the road of life.
We wiped each others tears away with the soul.
Come on, my only parents, one more year, for me, please…

Maria Magdalena Biela

Joulurauhan julistus 2020

POSTED IN contemporary poetry December 25, 2020

Joulurauhan julistus 2020


Maria Magdalena Biela


POSTED IN contemporary poetry December 25, 2020

La multi ani, Mama!

POSTED IN contemporary poetry November 10, 2020











La multi ani, Mama!

Maria Magdalena Biela

_These crystal structures were left in the entry by mistake_
~~~
Material: CeAl4Co
Method: DFT, r²SCAN
State: optimized geometry

- electronic total energy (eV/atom) = -12.335
- space-group type = Pmma (51)
- energy of formation (eV/f.u.) = -3.007

Cell lengths 7.5838, 4.0334, 6.8605 Å; angles 90.00, 90.00, 90.00 degrees
Fractional coordinates of all 12 atoms:
Ce 0.2500 0.0000 0.1172
Ce 0.7500 0.0000 0.8828
Al 0.0000 0.0000 0.5000
Al 0.0697 0.5000 0.7971
Al 0.2500 0.5000 0.4589
Al 0.4303 0.5000 0.7971
Al 0.5000 0.0000 0.5000
Al 0.5697 0.5000 0.2029
Al 0.7500 0.5000 0.5411
Al 0.9303 0.5000 0.2029
Co 0.2500 0.0000 0.6897
Co 0.7500 0.0000 0.3103


Here is a relaxed structure of Ca11Re2N10 from the Materials Project. Energies are from PBE.

Properties
Formation enthalpy at 0 K in meV/atom: -585
Total DFT energy (no corrections) in eV/atom: -6.094
Magnetization in μB/atom: 0.1517

Cell: 15.4123 15.4123 3.5112 Å, 90.00 90.00 90.00°
Space group P4_2/mnm (No. 136)
Unique sites:
1 Ca 0.0000 0.0000 0.0000 (multiplicity 2)
2 Ca 0.0244 0.2017 0.5000 (multiplicity 8)
3 Ca 0.1072 0.6244 0.5000 (multiplicity 8)
4 Ca 0.1556 0.8444 0.0000 (multiplicity 4)
5 Re 0.1963 0.1963 0.0000 (multiplicity 4)
6 N 0.0202 0.6865 0.0000 (multiplicity 8)
7 N 0.0803 0.9197 0.5000 (multiplicity 4)
8 N 0.1116 0.1116 0.0000 (multiplicity 4)
9 N 0.2204 0.7796 0.5000 (multiplicity 4)
~~~


POSTED IN contemporary poetry October 9, 2020















When a genius creates a masterpiece and I find myself among those who receive THANK YOU on the first pages, I FEEL HAPPY, THANKFUL, HUMBLED, WORDLESS…
PROF. DR. BERND ROLING, UNIV. OF BERLIN, created this scientific treatise named ODINS IMPERIUM.

I found with emotion my name mentioned among the most brilliant minds around him.
LEEVI MADETOJA was the greatest composer of Finland, in my heart greater than Sibellius who shadowed Madetoja. He was also the husband of the greatest Finnish poetess L. ONERVA.
I introduced Bernd to Madetoja 15 years ago and ever since Prof. Dr. Roling embalmed his tumultuos mind in the wonderful music of Leevi Madetoja…


Maria Magdalena Biela



POSTED IN contemporary poetry August 11, 2020
























Mi-e drag si mi-e dor…Mi-s dragi muntii, mi-e draga Marea Neagra a adolescentei mele si anilor de studentie, mi-e draga Delta si Dunarea, mi-e drag tot spatiul acela mioritic care NU apartine nimanui prin testament…Acel pamant apartine Creatorului…Oamenii care il locuiesc temporar, il distrug an cu an, zi cu zi…Pamantul pedepseste adanc pe cel ce nu-l respecta…Pamantul nu uita, nu iarta, tace si asteapta ruina trupului omenesc…Cand nu exista SUFLETUL etern, TRUPUL este doar o carcasa trecatoare ce va fi hrana pentru viermii infometati ai Pamantului…Si Pamantul asteapta si vegheaza…El este etern. Acel Pamant dintre Carpati, Dunare si Mare a fost si este batjocorit…insa mare si grea ii va fi mania si pedeapsa…
MI-E DOR DE PAMANTUL DIN CARE MA TRAG…SUNT TARE SINGURA FARA EL…Oamenii rai care il distrug vor plati greu…
Ceilalti, PUTINII care sufera, cunosc si ei SINGURATATEA…

Maria Magdalena Biela


POSTED IN contemporary poetry April 22, 2020













I wake up at 7.00 a.m. I drink my coffee, watching through the window the same lifeless street, the same trees still naked, same flats tall and covering my horizon, same portion of sky changing colors from dark to Light…Actually this is my only sign that hours pass and day becomes night, and night becomes day: the sky and its coloring…
Sometimes is the Moon: a quarter, half, full, and again…
Otherwise I feel like I am living and reliving the same day and night in a time-loop.
Soon the trees will become slowly green, so, here it is, another sign that time passes: the change of season.
After the coffee, I am in a sort of anxiety over to listen to the news or not. I choose not. I am done with the tears, the sadness, the fear.
I also fight over calling or not my parents. I am tired also to feel their tiredness, their nervousness, their intoxicating fear and fury.
Well, some days I call…actually every day I call. Aaaand after that I digest my frustration.
These days I talked with almost all my Facebook friends, especially my kids who live in the afflicted countries.
I feel an urge to beg them: “give me a small daily sign that you and yours are alive and well”…
Lunch. My appetite is lost. I eat something, I don’t care what, just to fill the void. I watch my husband and I know that he is also lost. Lost in this never-ending time loop, lost in this vastness of nothing and nothingness of vast.
Since march the 7th I didn’t exit the flat. It was a day to remember. I walked through the city with my husband not knowing that suddenly we’ll enter a loop.
My hair needed a change. I colored it myself.
My face needs the calming hands of a cosmetologist… my legs need to walk. In my time-loop it is a strangeness: I see time passing with my hair roots, my growing nails, my too rested legs.
I watch the ceiling. I watch the books. I am saturated with thinking.
This year, 2020, will be a non lived year. I shall remove it from the calendar. It may be as well still 2019, March.
I talk to my sister…she has a yard, at least something great.
In this loop it is heaven to have a yard, to be able to stay outside, breathing the Spring, watching the sunset and sunrise.
I can’t do even that: my windows are crowded by other flats, I see nothing but buildings.
I miss Crete, the sun, the sea, the friends I have there.
I miss being free. I am humbled by this unseen microscopical being which kills.
I took for granted every basic human right I had, blissfully, idiotically unaware that one cursed day time will stay still. No, time will pass but us, the humanity will be forced to stay still and feel the punishment of passing seconds.
I know how it started this 2020 but I do not know how it will end. Will I ever live in the same world? Will I ever hug my friends, travel freely, enjoy the nature, walk until I fall?
Perhaps not. Perhaps my hair will have to be shortened, like my nails, like my appetite for everything, like my list of well being happy friends, like my hopes, my expectations…
How does one exit a time loop? By learning not to repeat the same one wrong thing one kept doing? By learning the one wise good lesson one never learnt?
And if so, then what would that be?


Maria Magdalena Biela

Happy Easter 2020!

POSTED IN contemporary poetry April 12, 2020






















Happy Easter 2020!


It’s Easter morning, outside a wild rain talks alone, angry, upset, hitting the window as if she’d like to come inside and hit me too. The flame of the candle humble yet bold doesn’t shiver: it knows better than to shy away from the rain… it’s seen worse than that… The chime of the bells, the Cathedral bells, usually would welcome every Christian to enter and take the Light of Easter and pray together for a better tomorrow. We watch through the window the crying heavens and we pray together, each window a silent altar, no priest, no blessed bread and wine, only our souls, naked, shimmering like the Light of the candle, like the smoke of it. This is all we have this morning: some see the Light, some see the Smoke…and we all think of a prayer, and we all need a Kind Master to guide us all through the angry rain towards the Light…

From my window in Turku, Finland HAPPY EASTER to all!


Maria Magdalena Biela
